Job =
What is needed: give back everything further down verbatim.

Contents =
-- begin --
Theoretical X-ray powder pattern of Tm2Zr2Os3 for Cu Ka, from a structure optimized by DFT (GGA-PBE).

```
data_Tm2Zr2Os3
_cell_length_a 8.0112
_cell_length_b 4.6320
_cell_length_c 8.2446
_cell_angle_alpha 90.00
_cell_angle_beta 109.01
_cell_angle_gamma 90.00
_symmetry_space_group_name_H-M 'C 1 2/m 1'
_symmetry_Int_Tables_number 12
loop_
_symmetry_equiv_pos_as_xyz
'x,y,z'
'-x,-y,-z'
'-x,y,-z'
'x,-y,z'
'x+1/2,y+1/2,z'
'-x+1/2,-y+1/2,-z'
'-x+1/2,y+1/2,-z'
'x+1/2,-y+1/2,z'
loop_
_atom_site_label
_atom_site_type_symbol
_atom_site_fract_x
_atom_site_fract_y
_atom_site_fract_z
Tm1 Tm 0.1263 0.0000 0.3780
Zr1 Zr 0.1241 0.5000 0.8726
Os1 Os 0.0000 0.0000 0.0000
Os2 Os 0.2440 0.5000 0.2309
```

Principal peaks in the range 5° ≤ 2θ ≤ 70°, low angle first:
| 2theta | d [Å] | I_rel |
| --- | --- | --- |
| 11.35 | 7.795 | 7.9 |
| 22.50 | 3.951 | 25.3 |
| 23.46 | 3.792 | 10.8 |
| 34.96 | 2.566 | 18.8 |
| 38.10 | 2.362 | 100.0 |
| 38.92 | 2.314 | 97.8 |
| 55.60 | 1.653 | 33.6 |
| 67.93 | 1.380 | 5.7 |
| 68.31 | 1.373 | 16.2 |
| 69.89 | 1.346 | 22.6 |

=====

Theoretical X-ray powder pattern of DyAg2AsS4 for Cu Ka, from a structure optimized by DFT (GGA-PBE).

```
data_DyAg2AsS4
_cell_length_a 7.5491
_cell_length_b 7.8854
_cell_length_c 11.0491
_cell_angle_alpha 90.00
_cell_angle_beta 90.00
_cell_angle_gamma 90.00
_symmetry_space_group_name_H-M 'I m m a'
_symmetry_Int_Tables_number 74
_symmetry_space_group_name_Hall '-I 2b 2'
loop_
_atom_site_label
_atom_site_type_symbol
_atom_site_fract_x
_atom_site_fract_y
_atom_site_fract_z
Dy1 Dy 0.0000 0.0000 0.0000
Ag1 Ag 0.0000 0.0000 0.5000
Ag2 Ag 0.2500 0.2500 0.2500
As1 As 0.2500 0.2500 0.7500
S1 S 0.0000 0.0160 0.7520
S2 S 0.2485 0.2500 0.9872
```

Principal peaks in the range 5° ≤ 2θ ≤ 70°, low angle first:
| 2theta | d [Å] | I_rel |
| --- | --- | --- |
| 27.80 | 3.209 | 47.1 |
| 28.64 | 3.117 | 43.4 |
| 32.41 | 2.762 | 51.5 |
| 32.85 | 2.727 | 100.0 |
| 46.04 | 1.971 | 18.5 |
| 46.82 | 1.940 | 70.4 |
| 48.22 | 1.887 | 16.3 |
| 55.10 | 1.667 | 22.5 |
| 57.43 | 1.605 | 18.4 |
| 59.30 | 1.558 | 17.0 |

=====

Theoretical X-ray powder pattern of LiPm2Rh for Cu Ka, from a structure optimized by DFT (GGA-PBE).

```
data_LiPm2Rh
_cell_length_a 3.5762
_cell_length_b 3.5762
_cell_length_c 7.7909
_cell_angle_alpha 90.00
_cell_angle_beta 90.00
_cell_angle_gamma 90.00
_symmetry_space_group_name_H-M 'P 4/m m m'
_symmetry_Int_Tables_number 123
_symmetry_space_group_name_Hall '-P 4 2'
loop_
_atom_site_label
_atom_site_type_symbol
_atom_site_fract_x
_atom_site_fract_y
_atom_site_fract_z
Li1 Li 0.0000 0.0000 0.0000
Pm1 Pm 0.5000 0.5000 0.2859
Rh1 Rh 0.0000 0.0000 0.5000
```

Principal peaks in the range 5° ≤ 2θ ≤ 70°, low angle first:
| 2theta | d [Å] | I_rel |
| --- | --- | --- |
| 11.36 | 7.791 | 66.7 |
| 24.90 | 3.576 | 26.3 |
| 34.03 | 2.634 | 100.0 |
| 35.50 | 2.529 | 51.8 |
| 37.39 | 2.405 | 15.2 |
| 43.05 | 2.101 | 29.9 |
| 51.08 | 1.788 | 18.3 |
| 59.95 | 1.543 | 11.8 |
| 62.81 | 1.479 | 33.7 |
| 68.96 | 1.362 | 14.6 |
-- stop --

Worked solution =
Theoretical X-ray powder pattern of Tm2Zr2Os3 for Cu Ka, from a structure optimized by DFT (GGA-PBE).

```
data_Tm2Zr2Os3
_cell_length_a 8.0112
_cell_length_b 4.6320
_cell_length_c 8.2446
_cell_angle_alpha 90.00
_cell_angle_beta 109.01
_cell_angle_gamma 90.00
_symmetry_space_group_name_H-M 'C 1 2/m 1'
_symmetry_Int_Tables_number 12
loop_
_symmetry_equiv_pos_as_xyz
'x,y,z'
'-x,-y,-z'
'-x,y,-z'
'x,-y,z'
'x+1/2,y+1/2,z'
'-x+1/2,-y+1/2,-z'
'-x+1/2,y+1/2,-z'
'x+1/2,-y+1/2,z'
loop_
_atom_site_label
_atom_site_type_symbol
_atom_site_fract_x
_atom_site_fract_y
_atom_site_fract_z
Tm1 Tm 0.1263 0.0000 0.3780
Zr1 Zr 0.1241 0.5000 0.8726
Os1 Os 0.0000 0.0000 0.0000
Os2 Os 0.2440 0.5000 0.2309
```

Principal peaks in the range 5° ≤ 2θ ≤ 70°, low angle first:
| 2theta | d [Å] | I_rel |
| --- | --- | --- |
| 11.35 | 7.795 | 7.9 |
| 22.50 | 3.951 | 25.3 |
| 23.46 | 3.792 | 10.8 |
| 34.96 | 2.566 | 18.8 |
| 38.10 | 2.362 | 100.0 |
| 38.92 | 2.314 | 97.8 |
| 55.60 | 1.653 | 33.6 |
| 67.93 | 1.380 | 5.7 |
| 68.31 | 1.373 | 16.2 |
| 69.89 | 1.346 | 22.6 |

=====

Theoretical X-ray powder pattern of DyAg2AsS4 for Cu Ka, from a structure optimized by DFT (GGA-PBE).

```
data_DyAg2AsS4
_cell_length_a 7.5491
_cell_length_b 7.8854
_cell_length_c 11.0491
_cell_angle_alpha 90.00
_cell_angle_beta 90.00
_cell_angle_gamma 90.00
_symmetry_space_group_name_H-M 'I m m a'
_symmetry_Int_Tables_number 74
_symmetry_space_group_name_Hall '-I 2b 2'
loop_
_atom_site_label
_atom_site_type_symbol
_atom_site_fract_x
_atom_site_fract_y
_atom_site_fract_z
Dy1 Dy 0.0000 0.0000 0.0000
Ag1 Ag 0.0000 0.0000 0.5000
Ag2 Ag 0.2500 0.2500 0.2500
As1 As 0.2500 0.2500 0.7500
S1 S 0.0000 0.0160 0.7520
S2 S 0.2485 0.2500 0.9872
```

Principal peaks in the range 5° ≤ 2θ ≤ 70°, low angle first:
| 2theta | d [Å] | I_rel |
| --- | --- | --- |
| 27.80 | 3.209 | 47.1 |
| 28.64 | 3.117 | 43.4 |
| 32.41 | 2.762 | 51.5 |
| 32.85 | 2.727 | 100.0 |
| 46.04 | 1.971 | 18.5 |
| 46.82 | 1.940 | 70.4 |
| 48.22 | 1.887 | 16.3 |
| 55.10 | 1.667 | 22.5 |
| 57.43 | 1.605 | 18.4 |
| 59.30 | 1.558 | 17.0 |

=====

Theoretical X-ray powder pattern of LiPm2Rh for Cu Ka, from a structure optimized by DFT (GGA-PBE).

```
data_LiPm2Rh
_cell_length_a 3.5762
_cell_length_b 3.5762
_cell_length_c 7.7909
_cell_angle_alpha 90.00
_cell_angle_beta 90.00
_cell_angle_gamma 90.00
_symmetry_space_group_name_H-M 'P 4/m m m'
_symmetry_Int_Tables_number 123
_symmetry_space_group_name_Hall '-P 4 2'
loop_
_atom_site_label
_atom_site_type_symbol
_atom_site_fract_x
_atom_site_fract_y
_atom_site_fract_z
Li1 Li 0.0000 0.0000 0.0000
Pm1 Pm 0.5000 0.5000 0.2859
Rh1 Rh 0.0000 0.0000 0.5000
```

Principal peaks in the range 5° ≤ 2θ ≤ 70°, low angle first:
| 2theta | d [Å] | I_rel |
| --- | --- | --- |
| 11.36 | 7.791 | 66.7 |
| 24.90 | 3.576 | 26.3 |
| 34.03 | 2.634 | 100.0 |
| 35.50 | 2.529 | 51.8 |
| 37.39 | 2.405 | 15.2 |
| 43.05 | 2.101 | 29.9 |
| 51.08 | 1.788 | 18.3 |
| 59.95 | 1.543 | 11.8 |
| 62.81 | 1.479 | 33.7 |
| 68.96 | 1.362 | 14.6 |